If the companies use the internet for their business, they are definitely prone to attacks from viruses and hackers. Hence, it is very important to realize this threat from malicious software which could cause serious harm to your systems. Malware removal is a vital part of your success. Below is a discussion on a few ways to say if your systems are under the attack by malware infection.
Slow Computer
The most commonly found symptoms of malware is an unusually slow computer. If you notice that your programs and operating systems are taking more time than usual to start, or if the data bandwidth is extremely low, it means the computer might have a virus.
Before you assume that your computer has been infected by a virus, you have to ensure that there are no other causes making it run slow. Firstly, for Windows users, you should check your RAM. For this, you can go to the task manager first by pressing Ctrl + Shift + Esc. Now visit the Performance tab and see the gigabytes count of RAM you are occupying under the Memory section.
Mac users should open the Activity Monitor app. Here, below the System Memory, you would be able to find the RAM usage.
The page is interrupted by quantum chemistry results
-- begin --
1.
The molecule C15H17FN2O3S in a non-equilibrium geometry, computed with the ωB97M-V functional and the def2-TZVPD basis.

Values from the calculation:
HOMO: -8.468 eV
ΔE to the lowest compared entry with this formula, charge and spin: 26.0 kJ/mol
SMILES: COc1ccc(CNS(=O)(=O)NCc2ccccc2F)cc1
E_tot: -38505.6405 eV
2S+1: 1
Lowest unoccupied orbital energy: 0.63 eV

Cartesian coordinates (Å):
C: 2.00 -1.21 -6.42
H: 1.02 -1.48 -6.83
O: 2.26 -1.87 -5.21
C: 1.43 -1.64 -4.15
C: 0.32 -0.81 -4.17
C: -0.45 -0.66 -3.03
C: -0.14 -1.33 -1.86
C: 0.98 -2.16 -1.84
C: 1.75 -2.32 -2.97
H: 2.62 -2.96 -2.97
H: 1.24 -2.67 -0.93
C: -0.94 -1.09 -0.61
N: -0.42 0.05 0.15
S: 1.10 -0.20 0.81
O: 1.13 -1.54 1.32
O: 2.12 0.25 -0.08
N: 1.04 0.89 2.05
H: 1.80 1.55 2.03
C: 0.58 0.46 3.35
C: -0.65 1.23 3.78
C: -1.74 1.36 2.92
C: -2.86 2.06 3.31
C: -2.92 2.66 4.56
C: -1.85 2.55 5.43
C: -0.73 1.84 5.02
F: 0.31 1.74 5.88
H: -1.86 3.00 6.40
H: -3.80 3.21 4.86
H: -3.70 2.15 2.63
H: -1.67 0.89 1.95
H: 0.33 -0.60 3.25
H: 1.37 0.56 4.10
H: -0.37 0.88 -0.42
H: -0.86 -1.95 0.07
H: -1.99 -0.89 -0.83
H: -1.31 -0.01 -3.06
H: 0.04 -0.27 -5.07
H: 2.05 -0.12 -6.30
H: 2.78 -1.53 -7.10

2.
A structure of composition C23H51N6O17V in a non-equilibrium geometry, computed with the ωB97M-V functional and the def2-TZVPD basis.

Values from the calculation:
Total charge: +1
HOMO (spin up / spin down): -10.942 / -10.942 eV
E_tot: -94105.8912 eV
2S+1: 4
Lowest unoccupied orbital energy (spin up / spin down): -3.00 / -3.04 eV

Cartesian coordinates (Å):
V: 3.18 1.26 0.61
N: 0.20 -0.24 -0.14
O: -0.08 -1.45 0.13
O: 1.30 0.14 0.39
O: -0.60 0.50 -0.79
C: -2.40 2.72 -2.25
O: -3.21 3.82 -2.47
C: -2.95 4.93 -1.78
O: -2.22 5.06 -0.80
O: -3.68 5.92 -2.32
C: -3.65 7.27 -1.93
H: -2.43 2.39 -1.21
H: -1.44 3.12 -2.56
H: -2.67 1.89 -2.90
H: -4.22 7.76 -2.71
H: -2.65 7.70 -1.83
H: -4.10 7.52 -0.97
C: -2.34 -3.97 1.71
O: -2.32 -4.87 2.85
C: -3.52 -5.04 3.55
O: -4.64 -4.63 3.25
O: -3.18 -5.71 4.65
C: -4.02 -5.80 5.81
H: -2.99 -3.11 1.87
H: -2.65 -4.36 0.73
H: -1.31 -3.71 1.49
H: -3.58 -5.10 6.52
H: -3.93 -6.82 6.20
H: -5.07 -5.57 5.60
C: -0.92 -2.16 -2.80
O: -1.30 -2.17 -4.15
C: -1.76 -1.03 -4.77
O: -1.88 0.08 -4.22
O: -1.96 -1.35 -6.07
C: -2.36 -0.31 -6.95
H: -1.81 -2.20 -2.17
H: -0.33 -1.27 -2.60
H: -0.22 -2.99 -2.69
H: -1.69 0.55 -6.98
H: -3.22 0.22 -6.54
H: -2.48 -0.58 -8.00
C: 3.64 1.90 -3.62
C: 2.44 1.53 -2.69
O: 2.71 1.38 -1.51
N: 1.22 1.33 -3.23
C: 0.82 1.71 -4.56
H: 3.63 1.26 -4.50
H: 4.63 1.95 -3.15
H: 3.38 2.89 -3.98
H: 0.48 1.02 -2.62
H: -0.23 1.97 -4.59
H: 0.89 0.89 -5.27
H: 1.41 2.55 -4.92
C: 5.05 -1.05 3.51
C: 3.68 -0.92 2.99
O: 3.49 -0.18 2.00
N: 2.73 -1.73 3.45
C: 1.44 -1.72 2.87
H: 5.25 -2.07 3.85
H: 5.07 -0.26 4.26
H: 5.81 -0.76 2.79
H: 2.94 -2.24 4.29
H: 0.94 -0.78 2.63
H: 0.80 -2.26 3.57
H: 1.41 -2.23 1.90
C: 1.34 1.73 4.47
C: 1.02 2.24 3.08
O: 1.84 2.03 2.18
N: -0.15 2.79 2.94
C: -0.56 3.30 1.61
H: 0.53 1.80 5.20
H: 2.20 2.28 4.84
H: 1.68 0.71 4.26
H: -0.70 3.10 3.72
H: -0.18 2.78 0.73
-- stop --
Other possibilities of a slow system include a shortage of space on your hard drive or damaged hardware. Once you are sure these are not the reason, a virus may have affected the system.
Blue Screen Of Death (Bsod)
In case your PC crashes very often, it might be due to a technical issue or a malware infection. There is a possibility that you may not have installed the latest versions of drivers on the system. Further, it is possible that the programs you are running may not be compatible with your hardware. If these are not the cause of the problems on the PC, the virus may be the reason behind the crashes. In order to find out the exact reason behind the last instance of BSOD, you should visit the Control Pane, followed by the System and Securit, and then Administrative Tools where you should select the Event Viewer. Now pick Windows Log. The ones which have “error” marked, are the reasons behind the crashes. To troubleshoot the issue, it is recommended to approach the IT department.
Programs Opening And Closing Automatically
Malware might be the reason why the programs are opening and closing on their own. Make sure, if these programs are expected to behave in this manner or if they are incompatible with the existing hardware before assuming that the computer is infected by a virus.
Absence Of Storage Space
There are different kinds of malware that manipulate the system but are still saved in the computer. Many of these fill the hard drive with unusual files. In case you find programs that you have never installed previously, it is advisable not to open the application straight away. Instead, run a search of the application and find out about it. If you are certain that it is a malware, take the help of a malware removal program to remove it.
Suspicious Activity Modem And Hard Drive
Apart from the other common warning sight, you should be careful if the hard disk is functioning continuously even when there are no programs working. Further, you should also be aware of the external modem is lit. Make sure you run a thorough scan of the computer in these cases.
Pop-Ups, Websites, Toolbars, And Other Unwanted Programs
These are irritating ways in which your computer will indicate that it has been affected by malware. Pop-ups result from clicking on unusual pages, by replying the survey before availing the services of a website, or while installing free applications. If there are ads which appear to be too good to be true, these are the ones you have to avoid. If the pop-ups appear suddenly, do not click on the pop-up page. Close the window promptly and use the computer virus removal tool on your system.

Similarly, installing a free application is a common way in which malware enters your system. While installation, you may skim through the terms and condition, which they use to trick you into accepting malware. You may unknowingly agree to open new browsers and websites which may fill your system with malware. Hence, caution is essential when you are downloading something for free. If possible, avoid these practices completely.
You’re sending out spam
In case your friends inform you that you are sending out uncommon links or messages, throughout the social media and email, you may be affected by spyware. These arise from forgetting to log out of the accounts or by failing to set strong passwords.
Even if the malware has not affected your system, it is advisable to have regular scans for malware to prevent any unwanted activity and ensure the safety of the system.